I am sad to say my grankids lost their mother the other day in an horrible accident and I am trying to get custody of them, so at this time I have removed all my pictures and I will not be availavle untill further notice. I have lost a few close people to me in last few months and now this has really taken a toll on me. I want to say sorry that i wont be able to visit for a bit. My hobby phone will be shut off and put up but if anyone needs to use me as reference please contact me here and I will respond as soon as possible. I do ask for prayers for her family and these beautiful young children. Again I am sorry and hope to see you all real soon!! Have a great time and as always play safe!!!

GeorgeDRII's Avatar
I'll pray for u and your family. Remember the good times of the ones u have lost. Their memories will always b with u! God bless u for taking care of your grandchildren. They will need your love
I'll pray for u and your family. Remember the good times of the ones u have lost. Their memories will always b with u! God bless u for taking care of your grandchildren. They will need your love Originally Posted by GeorgeDRII
+1 try to stay strong
ck1942's Avatar
Sincerest condolences to you and to family.

• Unrelated to this entry: records of crystals:
........
(1)
Computed powder diffraction line list
Compound: RbTl4Hg9
Radiation: Cu Ka
Structure: a structure optimized by DFT (PBE)

Cell and atoms:
```
RbTl4Hg9
1.0
-5.4419 5.4419 7.3819
5.4419 -5.4419 7.3819
5.4419 5.4419 -7.3819
Rb Tl Hg
2 8 18
direct
0.2500 0.2500 0.0000
0.7500 0.7500 0.0000
0.0588 0.5588 0.8639
0.1949 0.0588 0.5000
0.3051 0.8051 0.8639
0.4412 0.3051 0.5000
0.5588 0.6949 0.5000
0.6949 0.1949 0.1361
0.8051 0.9412 0.5000
0.9412 0.4412 0.1361
0.0000 0.5000 0.5000
0.0529 0.1940 0.2469
0.0554 0.7942 0.5000
0.1940 0.9471 0.1412
0.2058 0.7058 0.2612
0.2942 0.5554 0.5000
0.3060 0.4471 0.7531
0.4446 0.9446 0.7388
0.4471 0.6940 0.1412
0.5000 0.0000 0.5000
0.5529 0.3060 0.8588
0.5554 0.0554 0.2612
0.6940 0.5529 0.2469
0.7058 0.4446 0.5000
0.7942 0.2942 0.7388
0.8060 0.0529 0.8588
0.9446 0.2058 0.5000
0.9471 0.8060 0.7531
```

Main lines, by angle (10° ≤ 2θ ≤ 90°):
2theta  I (rel.)
11.50  49.5
28.62  81.7
29.24  44.2
34.52  97.3
34.87  100.0
34.98  51.4
35.56  73.0
35.67  52.6

=====

(2)
Computed powder diffraction line list
Compound: RbTl5Hg3
Radiation: Cu Ka
Structure: a structure optimized by DFT (PBE)

Cell and atoms:
```
RbTl5Hg3
1.0
1.7469 -8.9026 0.0000
1.7469 8.9026 0.0000
0.0000 0.0000 18.5310
Rb Tl Hg
2 10 6
direct
0.1751 0.8249 0.7500
0.8249 0.1751 0.2500
0.0000 0.0000 0.0000
0.0000 0.0000 0.5000
0.1723 0.8277 0.0834
0.1723 0.8277 0.4166
0.4921 0.5079 0.6591
0.4921 0.5079 0.8409
0.5079 0.4921 0.1591
0.5079 0.4921 0.3409
0.8277 0.1723 0.5834
0.8277 0.1723 0.9166
0.1441 0.8559 0.2500
0.3459 0.6541 0.0737
0.3459 0.6541 0.4263
0.6541 0.3459 0.5737
0.6541 0.3459 0.9263
0.8559 0.1441 0.7500
```

Main lines, by angle (10° ≤ 2θ ≤ 90°):
2theta  I (rel.)
26.44  34.5
29.80  60.6
30.11  100.0
30.64  85.8
31.24  68.0
32.49  48.2
35.37  82.8
36.35  30.8

----------

Computed powder X-ray diffraction pattern
Compound: LiLaInPb
Radiation: a wavelength of 1.5418 Å
Structure: a PBE-relaxed structure
Neutral-atom scattering factors, no anomalous dispersion.

Peak list (10 most intense, 5 to 70 degrees two-theta, in order of falling intensity)
(1 1 1), 32.45°, intensity 100
(0 0 1), 18.19°, intensity 22
(1 1 0), 26.65°, intensity 18
(0 0 2), 36.85°, intensity 18
(0 2 0), 37.78°, intensity 17
(2 0 0), 38.31°, intensity 16
(1 1 3), 63.63°, intensity 14
(1 0 0), 18.89°, intensity 14
(1 3 1), 64.87°, intensity 14
(3 1 1), 65.60°, intensity 13

Structural model:
```
data_LiLaInPb
_space_group_name_H-M_alt 'P 1'
_space_group_IT_number 1
_cell_length_a 4.699
_cell_length_b 4.763
_cell_length_c 4.878
_cell_angle_alpha 90.00
_cell_angle_beta 90.00
_cell_angle_gamma 90.00
loop_
_space_group_symop_operation_xyz
'x,y,z'
loop_
_atom_site_label
_atom_site_type_symbol
_atom_site_fract_x
_atom_site_fract_y
_atom_site_fract_z
Li1 Li 0.000 0.000 0.000
La1 La 0.000 0.500 0.500
In1 In 0.500 0.500 0.000
Pb1 Pb 0.500 0.000 0.500
```

----------

1.
AcGaBiO5: calculated X-ray powder pattern (Cu Kα, 1.54184 Å), based on a DFT-relaxed cell (GGA-PBE, Alexandria).
........

Life is never easy.

Stay strong!
KlassyKelliAnn's Avatar
Very very sorry to hear about your loss. Hang in there the best you can and keep up the good work you're doing by those little ones. xoxoxoxo

Data records, kept here for reference =
PmSi4Ni2: theoretical powder X-ray diffraction pattern (a wavelength of 1.5418 Å), based on DFT lattice parameters and positions (GGA-PBE).
Lines closer than 0.1° are merged.

Main lines, by angle (15° ≤ 2θ ≤ 90°):
2theta, I_rel
24.7, 31
30.6, 48
30.9, 87
37.4, 100
39.9, 39
45.1, 39

Structural model:
```
PmSi4Ni2
1.0
16.370 0.000 0.000
0.000 4.019 0.000
0.000 0.000 6.455
Pm Si Ni
4 16 8
Direct
0.113 0.250 0.001
0.387 0.750 0.501
0.613 0.250 0.499
0.887 0.750 0.999
0.036 0.750 0.724
0.090 0.250 0.498
0.187 0.750 0.340
0.205 0.750 0.731
0.295 0.250 0.231
0.313 0.250 0.840
0.410 0.750 0.998
0.464 0.250 0.224
0.536 0.750 0.776
0.590 0.250 0.002
0.687 0.750 0.160
0.705 0.750 0.769
0.795 0.250 0.269
0.813 0.250 0.660
0.910 0.750 0.502
0.964 0.250 0.276
0.041 0.750 0.335
0.227 0.250 0.551
0.273 0.750 0.051
0.459 0.250 0.835
0.541 0.750 0.165
0.727 0.250 0.949
0.773 0.750 0.449
0.959 0.250 0.665
```


For Ti7Nb4Ga6, DFT lattice parameters and positions (PBE) gives the theoretical XRD peak list in this record (Cu Kα, 1.54184 Å).
Neutral-atom scattering factors, no anomalous dispersion.

Most intense lines, 2θ = 10–90°, in order of falling intensity:
- 2θ 37.3, I = 100.0
- 2θ 43.4, I = 56.2
- 2θ 63.0, I = 28.0
- 2θ 75.5, I = 23.3
- 2θ 30.3, I = 17.2
- 2θ 34.0, I = 12.5
- 2θ 46.1, I = 11.9
- 2θ 51.3, I = 8.5
- 2θ 71.5, I = 7.9
- 2θ 85.5, I = 7.5

Atomic structure:
```
17
Lattice="-4.1743 4.1743 4.1743 4.1743 -4.1743 4.1743 4.1743 4.1743 -4.1743" Properties=species:S:1:pos:R:3 pbc="T T T"
Ti 0.0000 0.0000 0.0000
Ti 4.1743 2.0872 0.0000
Ti 4.1743 0.0000 2.0872
Ti 2.0872 4.1743 0.0000
Ti 2.0872 0.0000 4.1743
Ti 0.0000 4.1743 2.0872
Ti 0.0000 2.0872 4.1743
Nb 2.0872 2.0872 -2.0872
Nb 2.0872 -2.0872 2.0872
Nb -2.0872 2.0872 2.0872
Nb 2.0872 2.0872 2.0872
Ga 2.5163 0.0000 0.0000
Ga 5.8324 0.0000 0.0000
Ga 0.0000 2.5163 0.0000
Ga 0.0000 0.0000 2.5163
Ga 0.0000 5.8324 0.0000
Ga 0.0000 0.0000 5.8324
```



For Ti5NbGa6, DFT lattice parameters and positions (PBE) gives the theoretical XRD peak list in this record (Cu Kα, 1.54184 Å).
Neutral-atom scattering factors, no anomalous dispersion.

Most intense lines, 2θ = 10–90°, in order of falling intensity:
- 2θ 42.0, I = 100.0
- 2θ 37.3, I = 70.3
- 2θ 70.5, I = 29.6
- 2θ 53.8, I = 23.2
- 2θ 79.7, I = 17.3
- 2θ 70.6, I = 9.8
- 2θ 67.4, I = 5.7
- 2θ 79.8, I = 3.4
- 2θ 26.2, I = 3.2
- 2θ 12.2, I = 1.7

Atomic structure:
```
12
Lattice="3.6722 -7.2253 0.0000 3.6722 7.2253 0.0000 -3.1488 0.0000 3.6411" Properties=species:S:1:pos:R:3 pbc="T T T"
Ti 0.0000 0.0000 0.0000
Ti 2.0978 4.8079 1.8205
Ti 3.6722 2.3969 0.0000
Ti 3.6722 -2.3969 0.0000
Ti 2.0978 -4.8079 1.8205
Nb 2.0978 0.0000 1.8205
Ga 1.0441 2.4222 0.9058
Ga -0.5380 0.0000 2.7201
Ga 1.0441 -2.4222 0.9058
Ga 3.1515 2.4222 2.7353
Ga 4.7336 0.0000 0.9210
Ga 3.1515 -2.4222 2.7353
```



For Ti4NbGa2, DFT lattice parameters and positions (PBE) gives the theoretical XRD peak list in this record (Cu Kα, 1.54184 Å).
Neutral-atom scattering factors, no anomalous dispersion.
Here the entry continues =

Kelli Ann
levi tab's Avatar
Very sorry for your losses Liz
May the good Lord watch over you and yours during these trying times.
I am so very sorry for your losses.
May God comfort you and provide you peace.
DocHolyday's Avatar
Ladies and gentlemen, please take a moment and let us pray.

Misplaced materials data >
<<<
No. 1
Calculated powder diffractogram
Compound: K12Rb2Cd
Radiation: copper Kα
Structure: a structure optimized by DFT (GGA-PBE)
No peak broadening, texture or thermal motion is included.

Cell and atoms:
```
data_K12Rb2Cd
_chemical_formula_sum 'K24 Rb4 Cd2'
_cell_length_a 8.6620
_cell_length_b 8.6620
_cell_length_c 29.9332
_cell_angle_alpha 90.00
_cell_angle_beta 90.00
_cell_angle_gamma 90.00
_symmetry_space_group_name_H-M 'P 4/n b m'
_symmetry_Int_Tables_number 125
loop_
_symmetry_equiv_pos_as_xyz
'x,y,z'
'-x,-y,-z'
'-y+1/2,x,z'
'y+1/2,-x,-z'
'-x+1/2,-y+1/2,z'
'x+1/2,y+1/2,-z'
'y,-x+1/2,z'
'-y,x+1/2,-z'
'x,-y+1/2,-z'
'-x,y+1/2,z'
'-y+1/2,-x+1/2,-z'
'y+1/2,x+1/2,z'
'-x+1/2,y,-z'
'x+1/2,-y,z'
'y,x,-z'
'-y,-x,z'
loop_
_atom_site_label
_atom_site_fract_x
_atom_site_fract_y
_atom_site_fract_z
K1 0.0000 0.0000 0.0710
K2 0.0737 0.5737 0.4328
K3 0.2500 0.2500 0.1824
K4 0.2500 0.2500 0.3253
Rb1 0.2500 0.7500 0.2504
Cd1 0.2500 0.7500 0.0000
```

Most intense lines, 2θ from 10° to 90°, sorted by position:
- 2θ = 18.72°, I = 100, (1 1 4)
- 2θ = 21.36°, I = 81, (2 0 2)
- 2θ = 22.99°, I = 33, (1 1 6)
- 2θ = 23.74°, I = 62, (2 0 4)
- 2θ = 25.39°, I = 29, (1 1 7)
- 2θ = 27.27°, I = 40, (2 0 6)
- 2θ = 27.94°, I = 59, (1 1 8)
- 2θ = 29.16°, I = 78, (2 2 0)
- 2θ = 31.59°, I = 51, (2 0 8)
- 2θ = 34.88°, I = 44, (3 1 4)
- 2θ = 40.83°, I = 63, (3 1 8)
- 2θ = 46.96°, I = 30, (2 2 12)

=====

No. 2
Calculated powder diffractogram
Compound: Sr3Al
Radiation: copper Kα
Structure: a structure optimized by DFT (GGA-PBE)
No peak broadening, texture or thermal motion is included.

Cell and atoms:
```
data_Sr3Al
_chemical_formula_sum 'Sr6 Al2'
_cell_length_a 5.8918
_cell_length_b 7.6665
_cell_length_c 6.9300
_cell_angle_alpha 90.00
_cell_angle_beta 90.00
_cell_angle_gamma 90.00
_symmetry_space_group_name_H-M 'P m m n'
_symmetry_Int_Tables_number 59
loop_
_symmetry_equiv_pos_as_xyz
'x,y,z'
'-x,-y,-z'
'-x+1/2,-y+1/2,z'
'x+1/2,y+1/2,-z'
'x+1/2,-y,-z'
'-x+1/2,y,z'
'-x,y+1/2,-z'
'x,-y+1/2,z'
loop_
_atom_site_label
_atom_site_fract_x
_atom_site_fract_y
_atom_site_fract_z
Sr1 0.2500 0.0029 0.1564
Sr2 0.2500 0.2500 0.6078
Al1 0.2500 0.7500 0.7097
```

Most intense lines, 2θ from 10° to 90°, sorted by position:
- 2θ = 22.96°, I = 14, (1 1 1)
- 2θ = 26.57°, I = 42, (0 2 1)
- 2θ = 29.92°, I = 70, (1 0 2)
- 2θ = 30.34°, I = 42, (2 0 0)
- 2θ = 30.67°, I = 100, (1 2 1)
- 2θ = 40.77°, I = 30, (2 2 1)
- 2θ = 45.86°, I = 16, (0 2 3)
- 2θ = 53.64°, I = 13, (3 0 2)
- 2θ = 54.11°, I = 20, (3 2 1)
- 2θ = 55.99°, I = 18, (2 2 3)
- 2θ = 57.10°, I = 22, (1 4 2)
- 2θ = 57.35°, I = 13, (2 4 0)

=====

No. 3
Calculated powder diffractogram
Compound: ZrTaNi6
Radiation: copper Kα
Structure: a structure optimized by DFT (GGA-PBE)
No peak broadening, texture or thermal motion is included.

Cell and atoms:
```
data_ZrTaNi6
_chemical_formula_sum 'Zr8 Ta8 Ni48'
_cell_length_a 7.3021
_cell_length_b 10.4083
_cell_length_c 10.8876
_cell_angle_alpha 90.00
_cell_angle_beta 90.00
_cell_angle_gamma 90.00
>>>

Lord, watch over Liz and these children. Bring them comfort in their hour of need. Help ease their sorrow from this tragic loss. Welcome this mother into your flock as she passes from this world into the next. Finally Lord, we ask that you guide and bring peace to this family as they move into their next phase of life, facing the reality of their terrible loss. Amen.

May God bless you Liz and these children.
I'm not a religious man but that was nice what you wrote Doc.

Guera, I am so sorry for your loss. I can't imagine having to bury one of you children. Your doing right by making them your priority and I applaud you.
DocHolyday's Avatar
Thanks KR but I can imagine how devastated Liz must be. I know I would be if one of my children or grandchildren were to pass away. I really feel bad for Liz and her grandchildren. They need all the kinds words, prayers and devine help that they can get.
Prayers sent to you sweetie XOXO I hope everything works out for you in the long run. Stay strong beautiful. I pray it all works out for you darling. XOXO
I want to thank everyone for their kind words and prayers that you are sending out this was not my daughter these are my son's children but either way these babies lost their mother and my heart goes out to the family of their mom she loved her children deeply and now it's my time to step up and raise her beautiful children but again I think everyone for your kind words and prayers
Guest010619's Avatar
I think it's wonderful that you will be raising these children and give them a close family tie through the years. I know it's tough to lose a loved one. I especially would extend docs well said prayer to your son and hope that as time goes on, he will heal.
Seeing that his children are well cared for will help him through these painful years.
trippplextc8's Avatar
Stay strong...